Christian Astourian has a keen mind and a good sense of humour. He speaks four languages – Italian, Greek, French and English – and, although born in Melbourne, the fact that he spent half his life living in Milan tells in his accent.
At 37, he is passionate about community causes, runs his own consultancy and serves on several boards.
He has been a Board member of Scope for three years and serves on the board of DASSI (Disability Attendant Support Service Inc). His company – Wings of Freedom – which numbers non-government and government organisations in its client base provides communications, consulting and awareness training.
He moved to Brunswick seven years ago to be closer to Melbourne University, while studying for a Computer Science degree.
Most of his friends live in Brunswick. Describing himself as a “human rights activist”, in November 2006 he decided to run in the Victorian State Elections as a candidate for the fledgling People Power party in the lower house seat of Brunswick (in Melbourne’s inner northern suburbs).
“I wanted to challenge the community, the government and the system,” he says. “I was talking about issues I felt of importance to the whole community.
“I think it’s important for the community to be involved in politics. We need more open communication between the community and the government – they [the government] make decisions that affect all of us.”
“I chose People Power because they gave me the opportunity to be involved in politics and run as a candidate. I didn’t have previous experience, so it had to happen with a new party.”
Christian Astourian has Cerebral Palsy. It affects his speech and his mobility.
********
Entry 1:
{
  "formula": "C7H10N2O",
  "method": "wB97M-V/def2-TZVPD",
  "homo_lumo_gap_ev": [7.955, 8.112],
  "elements": ["O", "N", "N", "C", "C", "C", "C", "C", "C", "C", "H", "H", "H", "H", "H", "H", "H", "H", "H", "H"],
  "coordinates": [[1.129, 0.856, -0.884], [1.614, -0.795, -2.378], [0.601, -0.147, -1.808], [-1.643, -1.542, -0.562], [-0.202, -1.423, -0.219], [0.460, 1.612, 1.441], [-0.591, -0.111, 0.569], [0.066, 0.228, 1.970], [-1.974, -0.414, 0.094], [0.040, 1.154, 0.038], [1.511, -0.845, -3.371], [-0.310, 2.331, 1.688], [1.394, 2.153, 1.606], [-0.513, 0.232, 2.910], [-2.259, -2.145, -1.212], [0.932, -0.391, 2.151], [-0.516, 1.772, -0.575], [0.663, -2.000, 0.206], [-2.913, 0.040, 0.376], [2.515, -0.565, -2.042]]
}

***

Entry 2:
{
  "formula": "C23H38GaN2O7S",
  "method": "wB97M-V/def2-TZVPD",
  "charge": -1,
  "homo_lumo_gap_ev": 6.101,
  "elements": ["Ga", "S", "O", "O", "O", "O", "O", "O", "O", "N", "N", "C", "C", "C", "C", "C", "C", "C", "C", "C", "C", "C", "C", "C", "C", "C", "C", "C", "C", "C", "C", "C", "C", "C", "H", "H", "H", "H", "H", "H", "H", "H", "H", "H", "H", "H", "H", "H", "H", "H", "H", "H", "H", "H", "H", "H", "H", "H", "H", "H", "H", "H", "H", "H", "H", "H", "H", "H", "H", "H", "H", "H"],
********
So campaigning was never easy. “I do believe it did challenge people to look at someone with disability differently. It can be difficult to understand me when I speak, or to see my mobility issues. But they can see me as a person and what I can do for them, rather than physically. It was an opportunity for disability awareness.”
Yet an even larger part of the difficulties of campaigning had nothing to do with disability. “Strangers on the street talked to me about their local concerns, wished me good luck and declared me an inspiration because I talked to them and listened to their issues,” he said on the Perspective program on ABC Radio National in February this year.
A clear indication of this can be found in an excerpt from a letter sent by one Moreland resident, after being stopped in the street by the campaigning candidate during the lead-up to the elections:
“I’ll be the first to admit that I wasn’t sure what you were stopping me for at first …after you explained you were running for the elections, again I’ll admit, I was surprised. Please don’t be offended. I don’t mean that I was surprised because I felt that you were not cut out for the task. I actually mean that I was surprised because I can’t remember the last time a politician stopped to ask me my opinion or tell me a bit about their plans and wants.
More importantly, I was astounded by the fact that, although the normal run of politicians won’t bother to talk to me (must be my long hair!), here was someone who looked beyond my appearance and made the effort to tell me their plans.”
Christian Astourian has spent 15 years breaking down the physical and social barriers that stop people with disability from being able to participate in society.
“Decision-makers are, by and large, cut off from disabilities and there’s the longstanding attitude that all minorities should be happy to get the scraps from the table reserved for the dining pleasures of the able-bodied and the mainstream,” he said on the Perspective program.
“I depend on a scooter for transport and my posture would challenge even the most devoted yoga goer. My speech means that I’ll never be featured in a live TV debate. In short, I’m like lots of people with a disability. Yet my hope is to see more people more or less like me run for office.
........
Entry a
Entry from the OMol25 dataset: a molecular structure, C19H29CeN2O (the ωB97M-V functional and the def2-TZVPD basis).

As for the HOMO-LUMO gap (alpha / beta): 0.317 / 0.319 Eh. The expectation value of S² is 0.751.

Structure (ORCA input):
```
! wB97M-V def2-TZVPD RIJCOSX def2/J DEFGRID3
* xyz 2 2
C 0.5096 -2.6472 1.4923
H -0.3373 -2.7606 2.1828
H 0.8474 -3.6100 1.0963
H 0.0801 -2.2072 0.6066
C 1.6220 -1.8066 2.0905
H 2.1867 -1.1645 1.3738
H 1.1917 -1.1235 2.8296
C 2.5383 -2.7972 2.7873
H 3.3211 -2.2834 3.3326
H 1.9774 -3.3909 3.5164
H 3.0159 -3.4897 2.0868
C 0.9271 0.8030 -2.4082
C 2.1476 0.4023 -1.7317
C 2.1010 -1.0347 -1.5615
C 0.8723 -1.5132 -2.1144
C 0.1321 -0.3961 -2.6131
C -1.2045 -0.4654 -3.2672
C 0.5386 -2.9547 -2.3582
C 3.1991 -1.9059 -1.0290
C 3.0988 1.3069 -1.0380
C 0.4075 2.1885 -2.5256
Ce 0.3130 0.2296 -0.2372
H -0.5451 -3.1163 -2.4216
H 0.9608 -3.3210 -3.3113
H 0.9425 -3.6109 -1.5741
H -1.6789 -1.4399 -3.1068
H -1.8874 0.3115 -2.8990
H -1.1226 -0.3299 -4.3550
H 0.8802 2.8814 -1.8104
H 0.6412 2.5649 -3.5287
H -0.6913 2.2650 -2.4117
H 3.7519 0.7666 -0.3333
H 3.7541 1.7844 -1.7803
H 2.5963 2.1274 -0.4848
H 2.8041 -2.7778 -0.4827
H 3.8346 -2.3090 -1.8393
H 3.8615 -1.3492 -0.3527
N -4.7838 4.4293 1.4379
C -3.8084 3.7535 0.7636
O -3.4734 4.0571 -0.3827
C -3.1598 2.6254 1.5121
C -3.4706 2.2166 2.8215
C -2.7749 1.1386 3.3756
C -1.7897 0.4818 2.6322
N -1.4666 0.8971 1.3751
C -2.1580 1.9376 0.8145
H -5.2639 5.1733 0.9478
H -5.1191 4.1574 2.3436
H -4.2388 2.7344 3.3888
H -2.9726 0.7846 4.3835
H -1.2306 -0.3921 2.9928
H -1.8772 2.1786 -0.2258
*
```

Partial charges, Mulliken, in e: atom 1 (C): -1.000, atom 2 (H): 0.398, atom 3 (H): 0.362, atom 4 (H): 0.216, atom 5 (C): 0.568, atom 6 (H): -0.091, atom 7 (H): 0.260, atom 8 (C): -1.622, atom 9 (H): 0.408, atom 10 (H): 0.406, atom 11 (H): 0.352, atom 12 (C): 0.523, atom 13 (C): 0.360, atom 14 (C): 0.871, atom 15 (C): -0.109, atom 16 (C): 0.480, atom 17 (C): -1.307, atom 18 (C): -1.663, atom 19 (C): -1.138, atom 20 (C): -1.310, atom 21 (C): -1.151, atom 22 (Ce): 0.838, atom 23 (H): 0.415, atom 24 (H): 0.369, atom 25 (H): 0.289, atom 26 (H): 0.366, atom 27 (H): 0.270, atom 28 (H): 0.367, atom 29 (H): 0.320, atom 30 (H): 0.371, atom 31 (H): 0.430, atom 32 (H): 0.315, atom 33 (H): 0.411, atom 34 (H): 0.391, atom 35 (H): 0.297, atom 36 (H): 0.343, atom 37 (H): 0.278, atom 38 (N): -0.307, atom 39 (C): 0.436, atom 40 (O): -0.617, atom 41 (C): 0.290, atom 42 (C): -0.246, atom 43 (C): -0.968, atom 44 (C): -0.175, atom 45 (N): -0.141, atom 46 (C): -0.173, atom 47 (H): 0.267, atom 48 (H): 0.132, atom 49 (H): 0.358, atom 50 (H): 0.433, atom 51 (H): 0.315, atom 52 (H): 0.515


Entry b
Entry from the OMol25 dataset: a molecular structure, C19H29CeN2O (the ωB97M-V functional and the def2-TZVPD basis).

As for the HOMO-LUMO gap (alpha / beta): 0.242 / 0.238 Eh. The expectation value of S² is 0.758.

Structure (ORCA input):
```
! wB97M-V def2-TZVPD RIJCOSX def2/J DEFGRID3
* xyz 2 2
C 1.2370 2.1701 -0.7620
........
“Like other minorities in parliament, ultimately I want a disabled person to be elected with respect for their differences but not because of them. And just like members of other minorities, I see no reason why a disabled MP should be restricted to contributing on disability issues. After all, there are plenty of issues to go round.”
He is proud of the fact that, as a new campaigner, he snared 1.5% of the primary vote – 550 votes, to be exact. Although the candidates for the Labor and Greens parties gained around 16,000 and 14,000 votes respectively, all other candidates polled in the range of 500-800 votes each.
That puts Christian Astourian firmly amongst the pack. “Most families include someone with some kind of disability. Yet, despite our numbers, governments – and most of the people who vote for them – continue to treat disabled people as ‘other people’.
The Victorian Government’s Department of Infrastructure Transport Plan 2006 says full disability access to public transport can wait until 2036. There’s still no legislation in the Housing Act to make new houses physically accessible and there are waiting lists of up to three years for equipment such as wheelchairs. People with a disability live in poverty more than any other group outside indigenous Australians,” he says.
“I am a strong believer that, with regard to disability, things are going to get better. To live in a community that is more accessible to and inclusive for everybody. I have no doubt that it will happen, because it’s part of evolution in humanity. But how long do we have to wait? Which generation is going to take responsibility to implement changes and speed-up the process?”
Asked if he is likely to ever run for politics again, Christian Astourian grins and admits that’s the “million dollar question … I’m not sure if I would run as a candidate again but, if I do, I’d be an independent.”
Meanwhile, he has a much greater vision in mind. “I always want to learn more about the world we live in. It’s important for me as a person to give a meaning to my life. If I can do something to inspire other people’s lives or the society we live in, I would think my life was worthwhile. I use as my own inspiration an extract from a Ralph Waldo Emerson poem: To know even one life has breathed easier because you lived, this is to have succeeded.”